The Last Straw
Plastic straws are being banned around the world. Why?
By Horia Varlan
Lots of colorful plastic straws with flexible bodies stuck together in a glass.
August 29, 2018
Recently, many large companies, most notably Starbucks, have taken actions against single0use plastic straws. On July 9, an article went up on Starbucks’ website and stated, “It will phase out plastic straws from its more than 28,000 stores worldwide by 2020, a decision that will eliminate more than 1 billion straws a year.”
After this announcement, some began to support this change saying that an ounce of prevention is worth a pound of cure, while others disagreed, arguing that banning a small percentage of plastic will yield no positive results overall and that it is just defends a necessary evil. Plastic straws are 2018’s newest villain and it’s a breath of fresh air from Russia collusion or President Trump’s expensive hookers.
According to The New York Times, the figures of daily single-use straw usage range from 350 million to a whopping 500 million per day. One can easily surmise from those numbers that there are a lot of plastic straws heading somewhere, but to find out where, let’s look at a few points.
First, what is plastic? “Plastics are made from materials such as cellulose, coal, natural gas, salt and crude oil,” per PlasticsEurope. After use, these materials must be disposed of in landfills, recycling plants, burned, or find their way into the oceans via littering. Plastics take centuries to breakdown; around 400 years when in landfills, according to
In the past, the solution to the landfill problem has been recycling. According to The Economist, only nine percent of Earth’s plastics are recycled. Unfortunately, curb-side recycling programs do not typically accept plastic straws as they are too small and clog sorting machines. That leaves two other disposal methods: burning and litter.
In reality, they’re in the oceans. Photos are always making their way onto the internet of dolphins, turtles, birds and other sea life getting caught in plastic debris in the ocean. It is meant to pull on the public’s heartstrings.
Honestly though, banning plastic straws will not change much because they are such a small percentage of the produced plastics in the world, only about four percent of the plastic trash by piece, according to I do think that making these types of minor changes for the betterment of the environment is a good move.
The text is interrupted by calculated molecules =
-- begin --
No. 1
# C10H39AgN2O9

A molecular structure, C10H39AgN2O9 in a non-equilibrium geometry (ωB97M-V with the def2-TZVPD basis set, the Open Molecules 2025 dataset).

Computed properties:
multiplicity	2
charge	+1
orbital gap (alpha / beta)	9.052 / 4.145	eV
HOMO level (alpha / beta)	-12.05 / -12.04	eV

CARTESIAN COORDINATES (ANGSTROEM)
Ag  1.599  -2.152  1.157
O  -0.279  -1.060  0.753
H  -0.504  -0.722  -0.136
C  1.973  -0.081  -5.004
C  1.124  0.090  -3.626
C  0.075  -1.112  -3.445
O  -0.852  -0.951  -4.465
C  -1.656  -2.148  -4.505
N  1.905  0.354  -2.455
H  2.568  0.808  -5.213
H  1.395  -0.223  -5.917
H  2.686  -0.901  -4.910
H  0.533  0.997  -3.752
H  -0.420  -1.084  -2.474
H  0.653  -2.035  -3.481
H  -2.450  -2.028  -5.242
H  -2.217  -2.514  -3.645
H  -1.129  -2.975  -4.980
H  1.367  0.841  -1.753
H  2.667  0.998  -2.613
C  2.842  -0.464  4.213
C  1.736  0.141  3.313
C  1.398  1.594  3.761
O  0.488  2.186  2.912
C  -0.019  3.490  3.368
N  2.176  0.075  1.893
H  2.992  -1.420  3.712
H  2.644  -0.712  5.256
H  3.753  0.135  4.191
H  0.832  -0.446  3.474
H  2.287  2.225  3.734
H  0.991  1.607  4.772
H  -0.506  3.923  2.495
H  0.841  4.058  3.723
H  -0.767  3.220  4.114
H  2.992  0.669  1.866
H  1.590  0.733  1.400
O  -1.995  -2.477  2.556
H  -2.922  -2.376  2.344
H  -1.552  -1.823  2.015
O  -2.054  -2.773  -0.457
H  -2.907  -2.516  -0.104
H  -1.428  -2.207  -0.005
O  -1.477  0.780  2.225
H  -0.732  1.377  2.293
H  -1.129  0.013  1.769
O  0.633  -3.128  2.997
H  -0.308  -2.995  2.884
H  0.721  -3.468  3.888
C  -0.539  2.532  -0.345
O  0.461  1.504  -0.313
H  -1.514  2.197  -0.700
H  -0.821  2.853  0.658
H  -0.234  3.415  -0.906
H  0.139  0.747  0.183
C  -3.171  0.594  -1.963
O  -2.326  1.115  -2.960
H  -3.668  -0.258  -2.427
H  -2.638  0.138  -1.129
H  -3.935  1.320  -1.685
H  -1.913  0.324  -3.313

Mulliken atomic charge list, values in e, 2 entries: atom 1 (Ag): 0.2451, atom 2 (O): -0.0127



No. 2
# C10H3Cl3F3N2O8PtS

A molecular structure, C10H3Cl3F3N2O8PtS (ωB97M-V with the def2-TZVPD basis set, the Open Molecules 2025 dataset).

Computed properties:
energy above the lowest of the compared OMol25 structures with the same formula, charge and spin	38.4	kJ/mol
charge	-1
orbital gap	8.169	eV
HOMO level	-5.98	eV

CARTESIAN COORDINATES (ANGSTROEM)
Pt  -0.644  -0.276  0.235
O  1.699  5.180  0.393
C  1.141  3.942  0.396
C  -0.225  3.755  0.606
C  -0.717  2.471  0.598
N  0.130  1.462  0.407
C  1.432  1.601  0.158
C  1.986  2.859  0.157
C  2.113  0.258  -0.158
O  3.312  0.223  -0.342
O  1.299  -0.759  -0.194
C  -2.176  2.017  0.774
O  -3.041  2.858  0.901
O  -2.329  0.725  0.812
H  1.015  5.840  0.547
H  -0.915  4.578  0.755
H  3.041  2.987  -0.041
F  -2.306  -4.304  -2.253
C  -1.810  -3.119  -2.640
F  -0.477  -3.179  -2.534
F  -2.116  -2.952  -3.930
S  -2.490  -1.733  -1.640
O  -3.908  -1.929  -1.661
O  -1.966  -0.573  -2.324
O  -1.838  -1.975  -0.319
Cl  3.553  -3.123  1.827
C  1.853  -3.619  1.753
Cl  1.612  -5.083  2.741
Cl  1.375  -3.938  0.091
-- stop --
Plastic straw bans are just highlighting the bigger problem of plastics in society, and could be the actual straw that breaks the old regulation’s back. They may start a new green revolution in awareness of manufacturing and consumption of plastics.